Request:
Your job: search the calculation results underneath for the word "any" and write out each line that has it.

Contents:
********
Computed, not measured: C5H10N2O in the gas phase at a distorted geometry, with ωB97M-V with the def2-TZVPD basis set.

Each atom is followed by the atoms it is bonded to, with distances in Å.
Positions of all 18 atoms, in Å:
1 C 0.932 -0.394 2.068  C3 1.515, H13 1.085, H14 1.089, H15 1.088
2 C -1.283 1.144 0.405  C4 1.496, H16 1.091, H17 1.090, H18 1.088
3 C 0.666 -0.741 0.617  C1 1.515, C4 1.507, O7 1.400, N8 1.423
4 C -0.399 0.048 -0.100  C2 1.496, C3 1.507, C6 1.449, N8 1.513
5 N -0.527 0.555 -2.515  C6 1.388, H10 1.012, H11 1.010
6 C -0.096 -0.267 -1.482  C4 1.449, N5 1.388, N8 1.671, H12 1.087
7 O 0.819 -2.124 0.465  C3 1.400, H9 0.963
8 N 1.081 0.181 -0.384  C3 1.423, C4 1.513, C6 1.671
9 H 0.973 -2.341 -0.461  O7 0.963
10 H -0.550 1.536 -2.269  N5 1.012
11 H -0.100 0.366 -3.411  N5 1.010
12 H 0.027 -1.299 -1.801  C6 1.087
13 H 0.963 0.682 2.202  C1 1.085
14 H 0.158 -0.826 2.699  C1 1.089
15 H 1.889 -0.824 2.355  C1 1.088
16 H -2.123 0.720 0.956  C2 1.091
17 H -1.686 1.756 -0.403  C2 1.090
18 H -0.744 1.826 1.060  C2 1.088

## Properties
structure (SMILES) = C[C@]1(O)N2[C@H](N)[C@]21C
HOMO = -0.325 hartree
ΔE to the lowest compared entry with this formula, charge and spin = 2.548 eV
E_LUMO = 0.9 eV
M = 114.15 g/mol
strongest force on any atom = 1.58 eV Å⁻¹

=====

Computed, not measured: C5H10N2O in the gas phase at a distorted geometry, with ωB97M-V with the def2-TZVPD basis set.

Each atom is followed by the atoms it is bonded to, with distances in Å.
Positions of all 18 atoms, in Å:
1 C 1.747 0.591 0.319  N4 1.437, N5 1.485, H12 1.087, H13 1.108
2 C 0.787 -1.600 -0.060  N5 1.452, C6 1.504, H14 1.107, H15 1.099
3 C -1.965 1.183 0.158  C7 1.504, H16 1.087, H17 1.083, H18 1.093
4 N 0.479 1.263 0.382  C1 1.437, C7 1.418, H10 1.017
5 N 1.649 -0.567 -0.607  C1 1.485, C2 1.452, H11 1.015
6 C -0.520 -0.860 -0.147  C2 1.504, C7 1.352, O8 1.380
7 C -0.660 0.437 0.206  C3 1.504, N4 1.418, C6 1.352
8 O -1.570 -1.674 -0.516  C6 1.380, H9 0.964
9 H -2.367 -1.141 -0.614  O8 0.964
10 H 0.435 2.061 -0.247  N4 1.017
11 H 2.561 -0.946 -0.841  N5 1.015
12 H 2.517 1.267 -0.044  C1 1.087
13 H 1.999 0.246 1.341  C1 1.108
14 H 1.031 -1.935 0.967  C2 1.107
15 H 0.774 -2.459 -0.745  C2 1.099
16 H -2.755 0.610 0.638  C3 1.087
17 H -1.869 2.128 0.677  C3 1.083
18 H -2.273 1.396 -0.869  C3 1.093

## Properties
structure (SMILES) = CC1=C(O)CNCN1
HOMO = -0.268 hartree
ΔE to the lowest compared entry with this formula, charge and spin = 1.584 eV
E_LUMO = 0.9 eV
M = 114.15 g/mol
strongest force on any atom = 1.77 eV Å⁻¹

=====

Computed, not measured: 2 unconnected molecules or ions with the total composition C5H10N2O at a distorted geometry, with ωB97M-V with the def2-TZVPD basis set.

Each atom is followed by the atoms it is bonded to, with distances in Å.
Positions of all 18 atoms, in Å:
1 C 1.509 2.343 0.896  O2 1.425, H4 1.092, H5 1.088, H6 1.096
2 O 1.262 2.433 -0.505  C1 1.425, H3 0.958
3 H 0.331 2.270 -0.661  O2 0.958
4 H 2.588 2.420 1.036  C1 1.092
5 H 1.074 3.177 1.444  C1 1.088
6 H 1.102 1.391 1.256  C1 1.096
7 C -2.044 0.124 0.244  C8 1.507, H14 1.106, H15 1.098, H18 1.092
8 C -1.022 -0.960 0.014  C7 1.507, C10 1.368, N11 1.348
9 C 1.042 -1.750 0.097  N11 1.339, N12 1.376, H13 1.068
10 C -0.898 -1.841 -1.025  C8 1.368, N12 1.372, H17 1.085
11 N 0.142 -0.957 0.693  C8 1.348, C9 1.339
12 N 0.397 -2.295 -0.989  C9 1.376, C10 1.372, H16 1.011
13 H 2.003 -2.147 0.345  C9 1.068
14 H -2.514 -0.210 1.188  C7 1.106
15 H -2.653 -0.002 -0.660  C7 1.098
16 H 0.719 -2.798 -1.804  N12 1.011
17 H -1.475 -2.301 -1.821  C10 1.085
18 H -1.564 1.104 0.252  C7 1.092

## Properties
structure (SMILES) = Cc1c[nH]cn1.CO
HOMO = -0.319 hartree
ΔE to the lowest compared entry with this formula, charge and spin = 1.573 eV
E_LUMO = 0.8 eV
M = 114.15 g/mol
strongest force on any atom = 3.26 eV Å⁻¹

=====

Computed, not measured: 2 unconnected molecules or ions with the total composition C5H10N2O at a distorted geometry, with ωB97M-V with the def2-TZVPD basis set.
********

Written answer:
strongest force on any atom = 1.58 eV Å⁻¹
strongest force on any atom = 1.77 eV Å⁻¹
strongest force on any atom = 3.26 eV Å⁻¹